**Given:**
+++
Below is an isolated molecule of C3H7N3O2 at a distorted geometry, with properties calculated with ωB97M-V with the def2-TZVPD basis set.

The geometry in XYZ format:
```
15
Properties=species:S:1:pos:R:3:forces:R:3
C 0.2771 0.0485 2.1052 -1.4013 -3.6264 -0.0882
C -0.7203 0.0758 0.9246 0.3021 0.1263 1.8080
C 0.9692 -0.2593 -0.6541 -1.6601 0.5891 0.9309
H 0.8167 0.9650 2.2603 -0.1988 0.4295 0.3957
H 1.0759 -0.8162 1.9683 -1.6310 1.6960 0.1453
H -0.4315 -0.3625 2.8986 1.4534 1.2160 -0.1868
H -2.1237 0.4663 -0.8134 0.6775 -0.2622 -0.0301
H 1.6960 -0.3239 0.0941 1.7532 -0.5051 0.7153
H 2.0392 -0.7425 -2.2576 0.9398 -0.4203 -0.2889
H -0.4775 0.3081 -2.4096 3.0495 -0.8013 -1.5915
N -1.9898 0.2975 1.0936 2.1903 0.0191 0.9923
N -0.2416 -0.1176 -0.3122 -0.8321 0.5694 -3.0901
N 1.3698 -0.1054 -1.9044 -0.2593 0.4059 -2.0664
O -2.6911 0.4579 -0.0353 -1.7966 0.1006 -0.4593
O 0.4317 0.1083 -2.9579 -2.5866 0.4634 2.8138
```
Forces are in eV/Å.

Its electronic energy is -11785.3508 eV. Its structure (SMILES) is CC(=N/O)/N=C/NO. As for the net charge: 0. Its spin multiplicity is 1. For the HOMO-LUMO gap, the calculation gives 0.335 hartree.

Partial atomic charges computed with the Löwdin method, in multiples of e: -0.034, -0.431, -0.205, 0.062, 0.099, 0.095, 0.055, 0.111, 0.133, 0.157, 0.017, 0.070, -0.018, -0.055, -0.055

Below is a structure of composition HO2PYb at a distorted geometry, with properties calculated with ωB97M-V with the def2-TZVPD basis set.

The geometry in XYZ format:
```
5
Properties=species:S:1:pos:R:3:forces:R:3
P -1.5162 0.0668 -0.3582 -0.2807 0.8825 0.0522
O -0.3900 1.1827 -0.2614 0.9548 -1.0600 -0.1204
Yb 1.5945 0.0895 -0.3206 -1.8934 0.3369 0.0784
O -0.3859 -1.2579 -0.2779 0.2410 -3.6879 0.1819
H -0.7395 -2.2595 -0.2285 0.9783 3.5285 -0.1921
```
Forces are in eV/Å.

Its electronic energy is -44922.9632 eV. As for the net charge: +1. Its spin multiplicity is 2. For the HOMO-LUMO gap (alpha / beta), the calculation gives 0.161 / 0.303 hartree.

Partial atomic charges computed with the Löwdin method, in multiples of e: 0.694, -0.789, 1.583, -0.628, 0.140

Below is a structure of composition C15H7Cl48FNO4S2, with properties calculated with ωB97M-V with the def2-TZVPD basis set.

The geometry in XYZ format:
```
78
Properties=species:S:1:pos:R:3:forces:R:3
O -0.0952 0.3447 2.9163 0.1073 -0.0304 -0.2132
S 0.0803 1.2616 1.8042 0.1350 0.0887 0.0586
O -1.1326 1.7334 1.1793 0.0030 0.0945 -0.0226
N 1.2080 0.8593 0.7397 -0.3011 -0.6277 0.4526
S 1.2920 -0.6847 0.3440 -0.4317 0.1298 -0.8527
O 2.2585 -0.8095 -0.7325 0.3038 0.1894 0.3439
O -0.0031 -1.2745 0.0661 0.2634 -0.0180 0.3456
C 1.9440 -1.6209 1.7104 0.7705 -0.4916 0.2119
C 3.3967 -1.3123 2.1509 -0.4737 0.4614 0.1412
C 3.9060 0.0966 1.8863 0.5049 -0.3847 0.0423
F 3.3127 0.9916 2.7750 -0.0192 0.0543 -0.0795
H 0.7021 2.3368 2.3334 -0.0395 0.0520 -0.1402
H 1.9124 -2.6478 1.3382 -0.1207 0.0245 -0.0683
H 1.2698 -1.5704 2.5582 -0.2499 0.3358 -0.1318
H 4.1040 -2.0400 1.7483 -0.0381 0.0913 -0.2966
H 3.4347 -1.4290 3.2357 -0.0113 -0.1109 0.0232
H 4.9772 0.1298 2.1029 0.0134 0.0143 -0.0511
H 3.7626 0.4171 0.8566 -0.3293 0.1684 0.0791
C 2.0202 -4.9146 -1.5335 -0.0471 0.0169 -0.1792
Cl 1.9414 -3.3714 -2.3601 -0.0124 0.0183 0.0328
Cl 0.4905 -5.2173 -0.7132 0.0496 -0.0743 0.0478
Cl 2.3318 -6.2020 -2.7192 -0.0218 -0.1489 0.1253
Cl 3.3410 -4.9026 -0.3547 0.0140 0.0529 0.0477
C 1.8770 -6.0379 -6.9732 -0.0441 0.0255 0.0931
Cl 1.5450 -5.3908 -8.5852 -0.0245 -0.0118 -0.0080
Cl 0.5653 -7.1155 -6.4795 0.0056 0.0072 -0.0450
Cl 3.3921 -6.9497 -7.0130 0.0464 -0.0092 0.0032
Cl 2.0096 -4.7196 -5.8149 0.0023 0.0682 -0.1131
C 6.2687 0.6538 5.3068 -0.0565 0.0262 -0.0764
Cl 5.0751 0.9950 6.5593 0.0153 -0.0087 -0.0079
Cl 5.8382 -0.8366 4.4676 0.1355 -0.0655 0.2063
Cl 6.3158 1.9807 4.1485 -0.1299 -0.0086 0.0579
Cl 7.8694 0.4695 6.0505 0.0226 0.0008 0.0117
C -3.0497 4.0096 3.7377 0.0112 -0.1297 -0.0885
Cl -3.7103 2.8911 2.5560 -0.0158 0.2008 0.1989
Cl -1.6260 4.8131 3.0707 0.0123 0.0052 0.0012
+++

**Request:**
Type out everything further up with every line break kept.

**Here it is:**
Below is an isolated molecule of C3H7N3O2 at a distorted geometry, with properties calculated with ωB97M-V with the def2-TZVPD basis set.

The geometry in XYZ format:
```
15
Properties=species:S:1:pos:R:3:forces:R:3
C 0.2771 0.0485 2.1052 -1.4013 -3.6264 -0.0882
C -0.7203 0.0758 0.9246 0.3021 0.1263 1.8080
C 0.9692 -0.2593 -0.6541 -1.6601 0.5891 0.9309
H 0.8167 0.9650 2.2603 -0.1988 0.4295 0.3957
H 1.0759 -0.8162 1.9683 -1.6310 1.6960 0.1453
H -0.4315 -0.3625 2.8986 1.4534 1.2160 -0.1868
H -2.1237 0.4663 -0.8134 0.6775 -0.2622 -0.0301
H 1.6960 -0.3239 0.0941 1.7532 -0.5051 0.7153
H 2.0392 -0.7425 -2.2576 0.9398 -0.4203 -0.2889
H -0.4775 0.3081 -2.4096 3.0495 -0.8013 -1.5915
N -1.9898 0.2975 1.0936 2.1903 0.0191 0.9923
N -0.2416 -0.1176 -0.3122 -0.8321 0.5694 -3.0901
N 1.3698 -0.1054 -1.9044 -0.2593 0.4059 -2.0664
O -2.6911 0.4579 -0.0353 -1.7966 0.1006 -0.4593
O 0.4317 0.1083 -2.9579 -2.5866 0.4634 2.8138
```
Forces are in eV/Å.

Its electronic energy is -11785.3508 eV. Its structure (SMILES) is CC(=N/O)/N=C/NO. As for the net charge: 0. Its spin multiplicity is 1. For the HOMO-LUMO gap, the calculation gives 0.335 hartree.

Partial atomic charges computed with the Löwdin method, in multiples of e: -0.034, -0.431, -0.205, 0.062, 0.099, 0.095, 0.055, 0.111, 0.133, 0.157, 0.017, 0.070, -0.018, -0.055, -0.055

Below is a structure of composition HO2PYb at a distorted geometry, with properties calculated with ωB97M-V with the def2-TZVPD basis set.

The geometry in XYZ format:
```
5
Properties=species:S:1:pos:R:3:forces:R:3
P -1.5162 0.0668 -0.3582 -0.2807 0.8825 0.0522
O -0.3900 1.1827 -0.2614 0.9548 -1.0600 -0.1204
Yb 1.5945 0.0895 -0.3206 -1.8934 0.3369 0.0784
O -0.3859 -1.2579 -0.2779 0.2410 -3.6879 0.1819
H -0.7395 -2.2595 -0.2285 0.9783 3.5285 -0.1921
```
Forces are in eV/Å.

Its electronic energy is -44922.9632 eV. As for the net charge: +1. Its spin multiplicity is 2. For the HOMO-LUMO gap (alpha / beta), the calculation gives 0.161 / 0.303 hartree.

Partial atomic charges computed with the Löwdin method, in multiples of e: 0.694, -0.789, 1.583, -0.628, 0.140

Below is a structure of composition C15H7Cl48FNO4S2, with properties calculated with ωB97M-V with the def2-TZVPD basis set.

The geometry in XYZ format:
```
78
Properties=species:S:1:pos:R:3:forces:R:3
O -0.0952 0.3447 2.9163 0.1073 -0.0304 -0.2132
S 0.0803 1.2616 1.8042 0.1350 0.0887 0.0586
O -1.1326 1.7334 1.1793 0.0030 0.0945 -0.0226
N 1.2080 0.8593 0.7397 -0.3011 -0.6277 0.4526
S 1.2920 -0.6847 0.3440 -0.4317 0.1298 -0.8527
O 2.2585 -0.8095 -0.7325 0.3038 0.1894 0.3439
O -0.0031 -1.2745 0.0661 0.2634 -0.0180 0.3456
C 1.9440 -1.6209 1.7104 0.7705 -0.4916 0.2119
C 3.3967 -1.3123 2.1509 -0.4737 0.4614 0.1412
C 3.9060 0.0966 1.8863 0.5049 -0.3847 0.0423
F 3.3127 0.9916 2.7750 -0.0192 0.0543 -0.0795
H 0.7021 2.3368 2.3334 -0.0395 0.0520 -0.1402
H 1.9124 -2.6478 1.3382 -0.1207 0.0245 -0.0683
H 1.2698 -1.5704 2.5582 -0.2499 0.3358 -0.1318
H 4.1040 -2.0400 1.7483 -0.0381 0.0913 -0.2966
H 3.4347 -1.4290 3.2357 -0.0113 -0.1109 0.0232
H 4.9772 0.1298 2.1029 0.0134 0.0143 -0.0511
H 3.7626 0.4171 0.8566 -0.3293 0.1684 0.0791
C 2.0202 -4.9146 -1.5335 -0.0471 0.0169 -0.1792
Cl 1.9414 -3.3714 -2.3601 -0.0124 0.0183 0.0328
Cl 0.4905 -5.2173 -0.7132 0.0496 -0.0743 0.0478
Cl 2.3318 -6.2020 -2.7192 -0.0218 -0.1489 0.1253
Cl 3.3410 -4.9026 -0.3547 0.0140 0.0529 0.0477
C 1.8770 -6.0379 -6.9732 -0.0441 0.0255 0.0931
Cl 1.5450 -5.3908 -8.5852 -0.0245 -0.0118 -0.0080
Cl 0.5653 -7.1155 -6.4795 0.0056 0.0072 -0.0450
Cl 3.3921 -6.9497 -7.0130 0.0464 -0.0092 0.0032
Cl 2.0096 -4.7196 -5.8149 0.0023 0.0682 -0.1131
C 6.2687 0.6538 5.3068 -0.0565 0.0262 -0.0764
Cl 5.0751 0.9950 6.5593 0.0153 -0.0087 -0.0079
Cl 5.8382 -0.8366 4.4676 0.1355 -0.0655 0.2063
Cl 6.3158 1.9807 4.1485 -0.1299 -0.0086 0.0579
Cl 7.8694 0.4695 6.0505 0.0226 0.0008 0.0117
C -3.0497 4.0096 3.7377 0.0112 -0.1297 -0.0885
Cl -3.7103 2.8911 2.5560 -0.0158 0.2008 0.1989
Cl -1.6260 4.8131 3.0707 0.0123 0.0052 0.0012